Data:
-- begin --
(1)
The following is a DFT calculation (PBE-GGA) of a geometry-optimized Er4Rh structure.

Results
The energy relative to the elements is 78 meV per atom.

abc: 10.6852 10.6852 10.6852
angles: 90.00 90.00 90.00
Space group Fd-3m (No. 227, origin choice 2)
Symmetry-distinct sites (fractional):
Er  0.0140  0.0140  0.2360
Rh  0.1250  0.1250  0.6250

(2)
The following is a DFT calculation (PBE-GGA) of a geometry-optimized ErRh structure.

Results
The energy relative to the elements is -947 meV per atom.

abc: 3.3998 3.3998 3.3998
angles: 90.00 90.00 90.00
Space group Pm-3m (No. 221)
Symmetry-distinct sites (fractional):
Er  0.0000  0.0000  0.0000
Rh  0.5000  0.5000  0.5000

(3)
The following is a DFT calculation (PBE-GGA) of a geometry-optimized ErRh5 structure.

Results
The energy relative to the elements is -292 meV per atom.

abc: 5.2269 5.2269 4.3376
angles: 90.00 90.00 120.00
Space group P6/mmm (No. 191)
Symmetry-distinct sites (fractional):
Er  0.0000  0.0000  0.0000
Rh  0.0000  0.5000  0.5000
Rh  0.3333  0.6667  0.0000

(4)
The following is a DFT calculation (PBE-GGA) of a geometry-optimized ErRh2 structure.

Results
The energy relative to the elements is -759 meV per atom.

abc: 7.5295 7.5295 7.5295
angles: 90.00 90.00 90.00
Space group Fd-3m (No. 227, origin choice 2)
Symmetry-distinct sites (fractional):
Er  0.1250  0.1250  0.1250
Rh  0.0000  0.0000  0.5000

----------

{"formula": "TiGe2", "functional": "GGA-PBE", "state": "optimized geometry", "lattice_angstrom": [[0.0000, 4.3384, 4.4324], [2.5449, 0.0000, 4.4324], [2.5449, 4.3384, 0.0000]], "species": ["Ti", "Ti", "Ge", "Ge", "Ge", "Ge"], "frac_coords": [[0.0000, 0.0000, 0.0000], [0.2500, 0.2500, 0.2500], [0.9182, 0.5818, 0.9182], [0.6682, 0.3318, 0.6682], [0.3318, 0.6682, 0.3318], [0.5818, 0.9182, 0.5818]], "ef_mev_per_atom": -418.9}

----------

VASP calculation (r2SCAN) on crystalline SrAcTl2 at its relaxed geometry.

Properties
Formation energy: -490 meV/atom

abc: 8.1972 8.1972 8.1972
angles: 90.00 90.00 90.00
Space group Fm-3m (No. 225)
Inequivalent atoms, fractional coordinates:
Sr 0.0000 0.0000 0.0000 x4
Ac 0.0000 0.0000 0.5000 x4
Tl 0.2500 0.2500 0.2500 x8
-- stop --

Exercise:
Copy the listing earlier on exactly, please.

Solution:
(1)
The following is a DFT calculation (PBE-GGA) of a geometry-optimized Er4Rh structure.

Results
The energy relative to the elements is 78 meV per atom.

abc: 10.6852 10.6852 10.6852
angles: 90.00 90.00 90.00
Space group Fd-3m (No. 227, origin choice 2)
Symmetry-distinct sites (fractional):
Er  0.0140  0.0140  0.2360
Rh  0.1250  0.1250  0.6250

(2)
The following is a DFT calculation (PBE-GGA) of a geometry-optimized ErRh structure.

Results
The energy relative to the elements is -947 meV per atom.

abc: 3.3998 3.3998 3.3998
angles: 90.00 90.00 90.00
Space group Pm-3m (No. 221)
Symmetry-distinct sites (fractional):
Er  0.0000  0.0000  0.0000
Rh  0.5000  0.5000  0.5000

(3)
The following is a DFT calculation (PBE-GGA) of a geometry-optimized ErRh5 structure.

Results
The energy relative to the elements is -292 meV per atom.

abc: 5.2269 5.2269 4.3376
angles: 90.00 90.00 120.00
Space group P6/mmm (No. 191)
Symmetry-distinct sites (fractional):
Er  0.0000  0.0000  0.0000
Rh  0.0000  0.5000  0.5000
Rh  0.3333  0.6667  0.0000

(4)
The following is a DFT calculation (PBE-GGA) of a geometry-optimized ErRh2 structure.

Results
The energy relative to the elements is -759 meV per atom.

abc: 7.5295 7.5295 7.5295
angles: 90.00 90.00 90.00
Space group Fd-3m (No. 227, origin choice 2)
Symmetry-distinct sites (fractional):
Er  0.1250  0.1250  0.1250
Rh  0.0000  0.0000  0.5000

----------

{"formula": "TiGe2", "functional": "GGA-PBE", "state": "optimized geometry", "lattice_angstrom": [[0.0000, 4.3384, 4.4324], [2.5449, 0.0000, 4.4324], [2.5449, 4.3384, 0.0000]], "species": ["Ti", "Ti", "Ge", "Ge", "Ge", "Ge"], "frac_coords": [[0.0000, 0.0000, 0.0000], [0.2500, 0.2500, 0.2500], [0.9182, 0.5818, 0.9182], [0.6682, 0.3318, 0.6682], [0.3318, 0.6682, 0.3318], [0.5818, 0.9182, 0.5818]], "ef_mev_per_atom": -418.9}

----------

VASP calculation (r2SCAN) on crystalline SrAcTl2 at its relaxed geometry.

Properties
Formation energy: -490 meV/atom

abc: 8.1972 8.1972 8.1972
angles: 90.00 90.00 90.00
Space group Fm-3m (No. 225)
Inequivalent atoms, fractional coordinates:
Sr 0.0000 0.0000 0.0000 x4
Ac 0.0000 0.0000 0.5000 x4
Tl 0.2500 0.2500 0.2500 x8